Three Strikes (Meant to Be 3) - Page 6

“So.” He pinches his jaw with long, thick fingers. He rubs them back and forth, making a raspy sound on his stubble. “I’m ready to do you.”

Inserted here: calculated molecules >
+++
Arrangement a

Formula: C8H10NO
Source: the Open Molecules 2025 dataset
Level of theory: ωB97M-V/def2-TZVPD

```
20
C8H10NO, DFT ωB97M-V/def2-TZVPD
C 0.316 0.864 -0.072
C -0.628 0.005 0.667
C -0.055 -1.646 -0.823
C 1.553 3.019 -0.483
C 0.587 2.257 0.086
C 0.916 -0.802 -1.574
C -1.291 0.506 1.926
C -0.319 -3.122 -1.094
N -0.778 -1.238 0.329
O 1.034 0.406 -1.078
H 1.686 4.093 -0.256
H 2.334 2.548 -1.065
H -0.110 2.583 0.839
H 1.329 -1.153 -2.451
H -0.485 1.140 2.449
H -1.781 -0.413 2.444
H -2.100 1.034 1.647
H -0.581 -3.747 -0.176
H 0.572 -3.498 -1.632
H -1.248 -3.026 -1.798
```

Results
molar mass = 136.2 g/mol
gap between HOMO and LUMO (spin up / spin down) = 7.5 / 7.5 eV
HOMO level (spin up / spin down) = -13.44 / -13.44 eV
charge = +1


Arrangement b

Formula: C8H10NO
Source: the Open Molecules 2025 dataset
Level of theory: ωB97M-V/def2-TZVPD

```
20
C8H10NO, DFT ωB97M-V/def2-TZVPD
C -1.519 0.744 -1.043
C -0.164 0.742 -1.417
C -1.644 -0.320 0.962
C -0.261 -0.436 0.793
C -2.374 0.393 -0.080
C 0.292 0.258 -0.269
C -3.846 0.544 -0.087
C 3.149 0.281 0.462
N 3.772 -0.872 0.323
O 3.459 1.333 -0.355
H -2.145 -0.833 1.778
H 0.513 -0.915 1.450
H -4.130 1.558 0.354
H -4.348 -0.228 0.515
H -4.216 0.461 -1.159
H 2.835 0.685 1.350
H 4.219 -1.088 -0.631
H 0.227 1.379 -2.157
H 3.880 -1.456 1.097
H 4.013 1.007 -1.107
```

Results
molar mass = 136.2 g/mol
gap between HOMO and LUMO (spin up / spin down) = 6.6 / 6.6 eV
HOMO level (spin up / spin down) = -11.58 / -11.55 eV
charge = +1


Energies relative to the minimum, kJ/mol: arrangement a 0.0; arrangement b 221.7


Arrangement a

Formula: C3H3NO4
Source: the Open Molecules 2025 dataset
Level of theory: ωB97M-V/def2-TZVPD

```
11
C3H3NO4, DFT ωB97M-V/def2-TZVPD
C 1.503 -0.713 0.020
N 0.148 -0.235 -0.250
O -1.157 -0.854 0.101
C -2.078 0.155 -0.132
O -3.312 0.081 0.189
O -1.359 1.344 -0.305
C -0.061 1.060 -0.080
O 0.691 1.948 0.274
H 1.606 -1.072 1.103
H 1.836 -1.773 -0.499
H 2.184 0.059 -0.421
```

Results
SMILES string = Cn1oc(=O)oc1=O
molar mass = 117.1 g/mol
gap between HOMO and LUMO = 10.9 eV
HOMO level = -10.73 eV
charge = 0


Arrangement b

Formula: C3H3NO4
Source: the Open Molecules 2025 dataset
Level of theory: ωB97M-V/def2-TZVPD

```
11
C3H3NO4, DFT ωB97M-V/def2-TZVPD
C -1.274 -0.146 0.283
C 0.248 0.485 -0.984
C 0.798 -0.111 0.113
H -2.511 -0.808 1.624
H 1.693 1.468 -1.724
H 2.070 -0.675 1.521
N -1.091 0.503 -0.774
O -2.487 -0.402 0.720
O 0.711 0.823 -2.185
O 2.033 -0.440 0.529
O -0.190 -0.697 0.876
```

Results
molar mass = 117.1 g/mol
gap between HOMO and LUMO = 7.9 eV
HOMO level = -7.78 eV
charge = 0


Energies relative to the minimum, kJ/mol: arrangement a 0.0; arrangement b 33.4
+++

What did he say?

Before I can react, he does a course correction and adds, “This. I mean. I’m ready to do this.”

A warm rush of blood and arousal races down from my center and into the slip of fabric between my legs. I double up on my squeezing and wonder again how he got the black eye, then wonder even more why it makes him even more attractive than he already was.

“We here to play or jerk off?” one of the assholes from the other team shouts as I spin around.

“Are you kidding me?” I wave to the bench and the stands, where kids from the center as young as five sit watching.

And listening.

“Watch your mouth.” Cyrus steps next to me and I swear to God he grows taller as he settles to my left, easing his body in front of mine.

My cheeks flame as my pulse thumps in my ears, both from anger but also because, oh my God. He smells so good, I start to get dizzy and I swear to Christmas, I get that little spiky pain like when you’re ovulating.

“Doesn’t look like you are much of a fighter, so you might want to check yourself,” Cyrus says as Doug, the organizer of the other team, steps our way. But this is no place for a brawl, so I reach up and grip Cyrus’s forearm and he winces, his head spinning, his dark eyes turning nearly black.

“This isn’t the time or place. Let’s take the high road and get the game going.” I wave at Doug on my biggest kiss-my-ass smile. “Let’s just get things going. We have kids here and it’s supposed to be fun.”

I hear a low rumble from Cyrus, and I feel the hard muscle in his forearm twist under my fingers as he turns with me and we work our way back toward the dugout as I wave the rest of the team in.

“We’re winning this game,” he mumbles under his breath, low and thick, and it makes me shiver in the heat. “I don’t care what we are playing for. We’re winning.”

“Well, I don’t know if you noticed but the reason I had my father recruiting me a last minute ringer is because the opposing team is made up of high-school players that just won the regional championship. Seems Doug, the other team captain, didn’t get the memo this was supposed to be fun and friendly.”

I leave out that Doug is the head of the fund raising department, and has been gunning for my job. At full salary, it would be a big step up for him. He came on board two years ago, stomping in and trying to imply I didn’t know what I was doing and I was misusing funds.

I took the high road as I usually do. People always underestimate me.

I’ve got that naive, dumb-blonde bimbo-y sort of look, but I’m none of those. Besides the blonde.

I gave him a week to settle in, get to know me, then when he tried to humiliate me in a senior staff meeting, thinking I was some delicate flower, I blasted him with both barrels. Setting him straight on exactly where I spent my budget down to the last dollar.

Let’s just say, we haven’t been rubbing noses or elbows since.

Cyrus’s brow knits together, the set of his jaw turns frightening as he points toward the youngest player on our team, Brittany. She’s one of my mentees and tutoring students as well. She’s tiny for her age, due to neglect and malnutrition, but she’s bright with wide brown eyes and wild, curly auburn hair. After two years at the center and working with me and an entire team, she is just starting to realize the world isn’t full of monsters.

“Youngest is first at bat. Then, me.” Cyrus stares at me with a determined look and heat gathers in my center as my heart thuds in my chest.

This man is the last thing that should interest me, but God, I can’t keep my eyes off him. He’s lit up something unfamiliar and wicked inside me and I remember how I fantasied about him in the shower last night.

About his tongue as it flicked at my clit. About his cock, if it was as huge and intimidating as he is…his scent is not helping as I soak my panties and try to ignore the ache in my pussy.

“Brittany.” I call to her with a smile and an encouraging wave our way. “You are going to be up first!”

“Yay!” She bounces off the bench, fist pumping the sky as I walk over and hand her a small bat, getting her tiny fingers in place.

== What comes next are molecular data, not part of the text ==
┌──
Record 1
# C10H10N2O5Pd

A structure of composition C10H10N2O5Pd in a non-equilibrium geometry (ωB97M-V with the def2-TZVPD basis set, OMol25).

Structure (XYZ):
```
28
Properties=species:S:1:pos:R:3:forces:R:3:nbo_charge:R:1
Pd 0.72793 1.03747 0.83908 0.89 0.44 1.71 0.9784
O -1.82213 -4.07907 -4.25944 0.00 -0.01 0.17 -0.4008
O -0.27972 -0.88867 0.86718 -0.13 0.20 -0.20 -0.7570
O 0.15721 0.96710 -1.31538 0.22 -0.02 -0.47 -0.6650
O -2.18785 -5.55285 -2.73212 0.03 0.13 0.02 -0.3948
O -0.30791 2.85970 1.93482 0.27 -0.44 -0.10 -0.6488
N 0.32646 4.69601 3.05613 -0.08 -0.03 0.01 -0.7919
N -1.84221 -4.43940 -3.09231 -0.05 -0.18 -0.30 0.5332
C -0.62310 -1.66140 -0.07774 -0.09 -0.15 -0.15 0.4478
C 1.96495 3.53043 1.66752 0.08 -0.17 0.03 -0.5356
C -1.02746 -2.23704 -2.43780 -0.07 -0.11 -0.19 -0.1089
C -1.43556 -3.87979 -0.71778 -0.03 -0.04 -0.19 -0.1306
C -1.04994 -2.99577 0.23814 0.04 0.09 0.07 -0.2978
C -0.62257 -1.30156 -1.47794 0.07 -0.09 0.49 -0.2726
C 2.36039 2.05712 1.64659 -0.99 0.12 -0.86 -0.5076
C -1.42749 -3.49519 -2.07675 0.10 0.23 0.28 -0.0697
C -0.20980 -0.01825 -1.95833 -0.05 0.13 -0.20 0.4343
C 0.57762 3.66356 2.23204 0.04 0.23 0.06 0.6897
H -0.59815 4.79563 3.44091 -0.01 -0.01 -0.02 0.4118
H 1.04017 5.34224 3.33577 0.03 -0.01 -0.04 0.4029
H -1.75191 -4.88251 -0.47005 -0.01 0.00 0.04 0.2449
H -0.24462 0.08447 -3.05707 -0.03 0.00 0.00 0.1228
H 3.28756 1.90741 1.09795 -0.06 -0.12 -0.11 0.1985
H 2.68226 4.15114 2.21414 0.01 0.00 0.00 0.2117
H -1.04878 -3.26097 1.28694 -0.01 -0.04 -0.02 0.2264
H -1.02954 -1.96982 -3.48706 0.01 0.02 0.00 0.2425
H 2.46234 1.66057 2.65977 -0.17 -0.20 -0.04 0.1881
H 1.92185 3.90945 0.64280 -0.03 0.04 0.00 0.2483
```
Forces are in eV/Å.

The relative energy (zero: lowest compared OMol25 entry of this formula, charge and spin) is 1.713 eV. As for the multiplicity: 1. The HOMO-LUMO gap (alpha / beta) is 6.954 / 7.029 eV. The LUMO energy (alpha / beta) is -1.30 / -1.15 eV. Its net charge is 0. The calculation puts the maximum force at 1.98 eV/A.

=====

Record 2
# C3H9NO3S

The molecule C3H9NO3S in a non-equilibrium geometry (ωB97M-V with the def2-TZVPD basis set, OMol25).

Structure (XYZ):
```
17
Properties=species:S:1:pos:R:3:forces:R:3:nbo_charge:R:1
S 1.34332 -0.01839 -0.12744 1.83 -0.26 0.87 2.2984
O 2.19620 -1.03291 -0.77033 -1.63 1.36 1.29 -0.9245
O 1.68692 1.37107 -0.27890 -0.52 -0.74 -0.24 -0.9166
O 1.37511 -0.26149 1.53200 2.58 -2.77 -1.79 -0.8851
N -2.76278 0.56826 -0.04194 0.04 -0.24 -2.72 -0.6134
C -0.36658 -0.25283 -0.60982 0.11 1.82 1.17 -0.6814
C -1.35074 0.67694 0.20750 0.90 1.31 1.92 -0.2429
C -3.25154 -0.75132 0.09626 -0.37 -3.63 0.40 -0.4241
H 2.17344 -0.97606 1.60255 -2.73 2.33 0.00 0.5157
H -0.21450 0.15342 -1.61440 -0.69 -0.65 -0.30 0.2544
H -0.63510 -1.29136 -0.48480 0.07 -0.25 -0.46 0.2557
H -1.13490 0.60042 1.38273 -0.64 -0.42 -2.50 0.2150
H -2.84532 -1.28112 1.09274 -1.05 1.26 -2.17 0.1970
H -1.23658 1.75494 0.06646 1.19 -0.20 -0.43 0.2308
H -3.08640 0.83409 -1.05637 1.38 0.01 2.51 0.3600
└──

Tags: Dani Wyatt Meant To Be Romance
Source: Copyright 2016 - 2025